Performing Arts Spectator Sports Industry Sector

Industry Sector Overview

Crystal structures, kept here for reference:
........
ThTi2O6: relaxed, GGA-PBE.

a b c (Å): 6.9529 6.9529 5.2357
angles (deg): 70.74 70.74 76.89
Closest atoms and distances in Å follow each position.
Atoms (fractional coordinates):
1 Th 0.1886 0.8114 0.2500  6 O 2.33-2.51
2 Th 0.8114 0.1886 0.7500  6 O 2.33-2.51
3 Ti 0.3514 0.1881 0.4403  6 O 1.88-2.05
4 Ti 0.8119 0.6486 0.0597  6 O 1.88-2.05
5 Ti 0.6486 0.8119 0.5597  6 O 1.88-2.05
6 Ti 0.1881 0.3514 0.9403  6 O 1.88-2.05
7 O 0.3984 0.8826 0.4657  2 Ti 1.88-2.04
8 O 0.1174 0.6016 0.0343  2 Ti 1.88-2.04
9 O 0.6016 0.1174 0.5343  2 Ti 1.88-2.04
10 O 0.8826 0.3984 0.9657  2 Ti 1.88-2.04
11 O 0.4502 0.2709 0.0332  2 Ti 1.94-1.95
12 O 0.7291 0.5498 0.4668  2 Ti 1.94-1.95
13 O 0.9058 0.8221 0.6511  2 Ti 2.02-2.05
14 O 0.1779 0.0942 0.8489  2 Ti 2.02-2.05
15 O 0.0942 0.1779 0.3489  2 Ti 2.02-2.05
16 O 0.8221 0.9058 0.1511  2 Ti 2.02-2.05
17 O 0.2709 0.4502 0.5332  2 Ti 1.94-1.95
18 O 0.5498 0.7291 0.9668  2 Ti 1.94-1.95

Values from the calculation:
Excess energy over the best structure of this formula in the dataset   16 meV/atom
Energy relative to the elements   -3.775 eV/atom
Space group   No. 15
Density   6.3 g/cm³


Here is crystalline Ge at its relaxed geometry from the Materials Project database. Energies are from PBE.

Results
- crystal system = hexagonal
- space-group type = P6_3/mmc (194)

Cell: 4.050 4.050 6.684 Å, 90.00 90.00 120.00°
Atoms (fractional coordinates):
1 Ge 0.667 0.333 0.063
2 Ge 0.333 0.667 0.563
3 Ge 0.667 0.333 0.437
4 Ge 0.333 0.667 0.937

***

Here is crystalline NaCaAu2 at its relaxed geometry from the Materials Project database. Energies are from PBE.

Results
- crystal system = cubic
- space-group type = Fm-3m (225)

Cell: 5.082 5.082 5.082 Å, 60.00 60.00 60.00°
Atoms (fractional coordinates):
1 Na 0.000 0.000 0.000
2 Ca 0.500 0.500 0.500
3 Au 0.750 0.750 0.750
4 Au 0.250 0.250 0.250

***

Here is crystalline NaIO3 at its relaxed geometry from the Materials Project database. Energies are from PBE.

Results
- crystal system = orthorhombic
- space-group type = Pnma (62)

Cell: 5.805 6.537 8.332 Å, 90.00 90.00 90.00°
Atoms (fractional coordinates):
1 Na 0.500 0.000 0.000
2 Na 0.000 0.500 0.000
3 Na 0.000 0.500 0.500
4 Na 0.500 0.000 0.500
5 I 0.010 0.016 0.250
6 I 0.510 0.484 0.750
7 I 0.490 0.516 0.250
8 I 0.990 0.984 0.750
9 O 0.135 0.166 0.415
10 O 0.635 0.334 0.585
11 O 0.365 0.666 0.085
12 O 0.865 0.834 0.915
13 O 0.865 0.834 0.585
14 O 0.365 0.666 0.415
15 O 0.635 0.334 0.915
16 O 0.135 0.166 0.085
17 O 0.708 0.096 0.250
18 O 0.208 0.404 0.750
19 O 0.792 0.596 0.250
20 O 0.292 0.904 0.750

***

Here is crystalline Ge at its relaxed geometry from the Materials Project database. Energies are from PBE.

Results
- crystal system = tetragonal
- space-group type = I4_1/amd (141)
- size of the total moment (μB per cell) = 0.00

Cell: 2.874 3.936 3.936 Å, 82.34 68.59 68.59°
Atoms (fractional coordinates):
1 Ge 0.500 0.000 0.000
2 Ge 0.750 0.500 0.500

***
........

Industries in the Performing Arts, Spectator Sports, and Related Industries subsector group establishments that produce or organize and promote live presentations involving the performances of actors and actresses, singers, dancers, musical groups and artists, athletes, and other entertainers, including independent (i.e., freelance) entertainers and the establishments that manage their careers. The classification recognizes four basic processes: (1) producing (i.e., presenting) events; (2) organizing, managing, and/or promoting events; (3) managing and representing entertainers; and (4) providing the artistic, creative and technical skills necessary to the production of these live events. Also, this subsector contains four industries for performing arts companies. Each is defined on the basis of the particular skills of the entertainers involved in the presentations. The industry structure for this subsector makes a clear distinction between performing arts companies and performing artists (i.e., independent or freelance). Although not unique to arts and entertainment, freelancing is a particularly important phenomenon in this Performing Arts, Spectator Sports, and Related Industries subsector. Distinguishing this activity from the production activity is a meaningful process differentiation. This approach, however, is difficult to implement in the case of musical groups (i.e., companies) and artists, especially pop groups. These establishments tend to be more loosely organized and it can be difficult to distinguish companies from freelancers. For this reason, NAICS includes one industry that covers both musical groups and musical artists. This subsector contains two industries for Industry Group 7113, Promoters of Performing Arts, Sports, and Similar Events, one for those that operate facilities and another for those that do not. This is because there are significant differences in cost structures between those promoters that manage and provide the staff
Source: US Census Bureau

[Here the text breaks off for calculated crystals]
1.
DyGa6Fe6 after structural relaxation, computed with PBE.

Computed properties:
The value obtained for the total moment is 13.1 μB per cell. As for the energy relative to the lowest polymorph listed for this composition: 149 meV per atom. Its space group is No. 69.

Cell lengths 5.1689, 6.5304, 6.6509 Å; angles 98.85, 112.87, 66.69 degrees
Fractional positions:
Dy 0.0000 0.0000 0.0000
Ga 0.5000 0.5000 0.0000
Ga 0.0000 0.5000 0.0000
Ga 0.6487 0.3353 0.6327
Ga 0.3513 0.6647 0.3673
Ga 0.0160 0.3353 0.3673
Ga 0.9840 0.6647 0.6327
Fe 0.7094 0.7988 0.2175
Fe 0.2906 0.2012 0.7825
Fe 0.4919 0.7988 0.7825
Fe 0.5081 0.2012 0.2175
Fe 0.5000 0.0000 0.5000
Fe 0.0000 0.0000 0.5000



2.
Na6Bi2B4SO16 after structural relaxation, computed with PBE.

Computed properties:
The value obtained for the total moment is 4.0 μB per cell. Its space group is No. 203. As for the corrected total energy (MP2020 scheme): -6.60 eV/atom.

Cell lengths 10.2588, 10.2588, 10.2588 Å; angles 60.00, 60.00, 60.00 degrees
Fractional positions:
Na 0.0413 0.4587 0.4587
Na 0.0413 0.0413 0.4587
Na 0.7913 0.7913 0.2087
Na 0.4587 0.0413 0.0413
Na 0.2087 0.7913 0.2087
Na 0.7913 0.2087 0.7913
Na 0.4587 0.0413 0.4587
Na 0.0413 0.4587 0.0413
Na 0.7913 0.2087 0.2087
Na 0.2087 0.7913 0.7913
Na 0.2087 0.2087 0.7913
Na 0.4587 0.4587 0.0413
Bi 0.6250 0.1250 0.6250
Bi 0.1250 0.6250 0.6250
Bi 0.6250 0.6250 0.1250
Bi 0.6250 0.6250 0.6250
B 0.7917 0.4028 0.4028
B 0.8472 0.8472 0.4583
B 0.4028 0.7917 0.4028
B 0.4028 0.4028 0.4028
B 0.8472 0.8472 0.8472
B 0.8472 0.4583 0.8472
B 0.4583 0.8472 0.8472
B 0.4028 0.4028 0.7917
S 0.0000 0.0000 0.0000
S 0.2500 0.2500 0.2500
O 0.0596 0.0596 0.8211
O 0.0596 0.0596 0.0596
O 0.0596 0.8211 0.0596
O 0.7195 0.9894 0.8355
O 0.8211 0.0596 0.0596
O 0.9894 0.7195 0.4556
O 0.4556 0.8355 0.9894
O 0.8355 0.9894 0.4556
O 0.7944 0.5305 0.4145
O 0.5305 0.7944 0.2606
O 0.9894 0.8355 0.7195
O 0.7195 0.8355 0.4556
O 0.7944 0.2606 0.5305
O 0.4145 0.5305 0.2606
O 0.9894 0.4556 0.8355
O 0.8355 0.4556 0.7195
O 0.4145 0.7944 0.5305
O 0.8355 0.7195 0.9894
O 0.2606 0.7944 0.4145
O 0.4556 0.9894 0.7195
O 0.5305 0.4145 0.7944
O 0.2606 0.4145 0.5305
O 0.7195 0.4556 0.9894
O 0.4556 0.7195 0.8355
O 0.4145 0.2606 0.7944
O 0.7944 0.4145 0.2606
O 0.2606 0.5305 0.7944
O 0.4289 0.1904 0.1904
O 0.5305 0.2606 0.4145
O 0.1904 0.4289 0.1904
O 0.1904 0.1904 0.1904
O 0.1904 0.1904 0.4289



3.
MgSi after structural relaxation, computed with PBE.

Computed properties:
The value obtained for the total moment is 0.0 μB per cell. Its space group is No. 1. As for the corrected total energy (MP2020 scheme): -3.43 eV/atom.

Cell lengths 4.3904, 5.4018, 10.2153 Å; angles 92.37, 91.03, 111.83 degrees
Fractional positions:
Mg 0.3157 0.7414 0.9052
Mg 0.5769 0.2644 0.0941
Mg 0.9228 0.0832 0.3432
Mg 0.8455 0.9170 0.6557
Mg 0.2562 0.6551 0.2057
Mg 0.6342 0.3505 0.7940
Si 0.2014 0.5122 0.6480
Si 0.2254 0.7639 0.4624
Si 0.0416 0.1513 0.9126
Si 0.8431 0.8477 0.0869
Si 0.6719 0.4897 0.3553
Si 0.4652 0.2236 0.5368



4.
[The calculated crystals stop here]

Industry Reports

-- begin --
Here is crystalline Sr8MgMn6O20 at its relaxed geometry from the Materials Project database. Energies are from PBE+U.

Values from the calculation:
Energy of formation from the pure elements, eV per atom: -2.541
E_tot, eV/atom: -6.693
SG: P1
E (MP2020), eV per atom: -7.3712
Size of the total moment, μB/cell: 19.97

a = 5.616 Å, b = 6.729 Å, c = 13.605 Å
α = 89.71°, β = 91.61°, γ = 110.86°
Fractional coordinates of all 35 atoms:
Sr: 0.180 0.470 0.160
Sr: 0.688 0.493 0.944
Sr: 0.726 0.477 0.405
Sr: 0.267 0.521 0.601
Sr: 0.994 0.931 0.618
Sr: 0.008 0.058 0.359
Sr: 0.474 0.065 0.145
Sr: 0.614 0.964 0.811
Mg: 0.270 0.784 0.948
Mn: 0.666 0.268 0.644
Mn: 0.340 0.744 0.349
Mn: 0.807 0.744 0.159
Mn: 0.190 0.281 0.836
Mn: 0.504 0.001 0.496
Mn: 0.977 0.000 0.997
O: 0.461 0.255 0.758
O: 0.053 0.740 0.272
O: 0.550 0.777 0.238
O: 0.948 0.234 0.717
O: 0.170 0.788 0.469
O: 0.386 0.221 0.543
O: 0.336 0.130 0.969
O: 0.054 0.746 0.058
O: 0.836 0.208 0.522
O: 0.626 0.788 0.452
O: 0.617 0.838 0.016
O: 0.929 0.236 0.933
O: 0.798 0.551 0.624
O: 0.223 0.446 0.348
O: 0.988 0.076 0.142
O: 0.975 0.860 0.872
O: 0.504 0.926 0.634
O: 0.638 0.449 0.140
O: 0.334 0.586 0.855
O: 0.490 0.074 0.359



Here is crystalline Sr8MgMn6O20 at its relaxed geometry from the Materials Project database. Energies are from PBE+U.

Values from the calculation:
Energy of formation from the pure elements, eV per atom: -2.531
E_tot, eV/atom: -6.682
SG: P1
E (MP2020), eV per atom: -7.3604
Size of the total moment, μB/cell: 19.95

a = 5.686 Å, b = 6.673 Å, c = 14.220 Å
α = 94.35°, β = 83.90°, γ = 112.86°
Fractional coordinates of all 35 atoms:
Sr: 0.156 0.462 0.076
Sr: 0.765 0.502 0.865
Sr: 0.787 0.525 0.338
Sr: 0.297 0.491 0.658
Sr: 0.022 0.907 0.644
Sr: 0.200 0.194 0.425
Sr: 0.438 0.058 0.126
Sr: 0.478 0.926 0.868
Mg: 0.871 0.026 0.263
Mn: 0.670 0.222 0.661
Mn: 0.361 0.782 0.345
Mn: 0.744 0.691 0.123
Mn: 0.134 0.230 0.845
Mn: 0.557 0.990 0.502
Mn: 0.963 0.990 0.995
O: 0.395 0.186 0.757
O: 0.130 0.899 0.288
O: 0.554 0.785 0.225
O: 0.875 0.178 0.747
O: 0.211 0.838 0.467
O: 0.453 0.225 0.558
O: 0.317 0.184 0.974
O: 0.030 0.743 0.030
O: 0.889 0.172 0.552
O: 0.602 0.752 0.430
O: 0.599 0.790 0.023
O: 0.871 0.219 0.955
O: 0.824 0.525 0.681
O: 0.187 0.482 0.331
O: 0.978 0.084 0.129
O: 0.972 0.906 0.863
O: 0.491 0.887 0.628
O: 0.734 0.434 0.169
O: 0.278 0.535 0.836
O: 0.632 0.107 0.368



Here is crystalline Sr8MgMn6O20 at its relaxed geometry from the Materials Project database. Energies are from PBE+U.

Values from the calculation:
Energy of formation from the pure elements, eV per atom: -2.527
E_tot, eV/atom: -6.678
SG: P1
E (MP2020), eV per atom: -7.3567
Size of the total moment, μB/cell: 19.97

a = 5.777 Å, b = 7.051 Å, c = 13.498 Å
α = 90.75°, β = 92.43°, γ = 116.81°
Fractional coordinates of all 35 atoms:
Sr: 0.302 0.483 0.108
Sr: 0.767 0.524 0.901
Sr: 0.655 0.468 0.460
Sr: 0.193 0.511 0.655
Sr: 0.907 0.923 0.641
Sr: 0.985 0.203 0.393
Sr: 0.580 0.092 0.123
Sr: 0.476 0.935 0.862
Mg: 0.122 0.858 0.335
-- stop --
_The page goes on_

Performing Arts Companies
Theater Companies & Dinner Theaters
Dance Companies
Musical Groups & Artists
Spectator Sports
Sports Teams & Clubs
Promoters of Performing Arts, Sports & Similar Events
Promoters of Performing Arts & Sporting Events
Agents & Managers for Artists, Athletes, Entertainers & Other Public Figures
Agents & Managers for Artists, Athletes, Entertainers & Public Figures
Independent Artists, Writers & Performers